Tag: biology

Questions Related to biology

Which of the following is responsible for groundwater shortage?

  1. Heavy rainfall

  2. Aforestation

What comes next are calculated crystals, not part of the text.
/*
# 1
Starting from DFT lattice parameters and positions (PBE), the powder X-ray diffraction pattern of Ho4NiHg2 was calculated for Cu Kα X-rays.
Neutral-atom scattering factors, no anomalous dispersion.

Atomic structure:
Unit cell a=7.8497 b=12.7479 c=3.8776 alpha=90.00 beta=90.00 gamma=90.00
Sites, in units of the cell vectors:
Ho: 0.1191 0.1957 0.0000
Ho: 0.2240 0.9472 0.5000
Ho: 0.2760 0.4472 0.5000
Ho: 0.3809 0.6957 0.0000
Ho: 0.6191 0.3043 0.0000
Ho: 0.7240 0.5528 0.5000
Ho: 0.7760 0.0528 0.5000
Ho: 0.8809 0.8043 0.0000
Ni: 0.0000 0.0000 0.0000
Ni: 0.5000 0.5000 0.0000
Hg: 0.0827 0.6645 0.5000
Hg: 0.4173 0.1645 0.5000
Hg: 0.5827 0.8355 0.5000
Hg: 0.9173 0.3355 0.5000

The 12 most intense peaks (2θ = 10–90°), low angle first:
Position (°2θ)	d [Å]	I/Imax
22.9	3.878	10.4
26.6	3.350	31.0
30.3	2.953	46.0
33.3	2.694	100.0
35.5	2.532	18.8
37.1	2.421	27.6
44.1	2.055	24.0
46.9	1.939	19.1
48.6	1.875	13.0
50.3	1.813	12.0
56.8	1.621	16.8
61.3	1.513	13.0



# 2
Starting from DFT lattice parameters and positions (PBE), the powder X-ray diffraction pattern of HoTcHgO6 was calculated for Cu Kα X-rays.
Neutral-atom scattering factors, no anomalous dispersion.

Atomic structure:
Unit cell a=5.6910 b=5.6910 c=5.3325 alpha=97.91 beta=97.91 gamma=120.63
Sites, in units of the cell vectors:
Ho: 0.0000 0.0000 0.0000
Tc: 0.3520 0.6480 0.0000
Hg: 0.6854 0.3146 0.5000
O: 0.0019 0.6450 0.7886
O: 0.1176 0.4400 0.1962
O: 0.2519 0.3256 0.7763
O: 0.3550 0.9981 0.2114
O: 0.5600 0.8824 0.8038
O: 0.6744 0.7481 0.2237

The 12 most intense peaks (2θ = 10–90°), low angle first:
Position (°2θ)	d [Å]	I/Imax
22.2	4.003	100.0
25.0	3.557	91.1
28.6	3.124	50.6
31.8	2.815	73.9
33.1	2.707	24.6
35.0	2.561	20.6
37.7	2.388	29.1
41.2	2.189	27.0
44.2	2.048	28.4
45.9	1.978	19.2
51.6	1.771	24.6
58.3	1.582	25.2



# 3
Starting from DFT lattice parameters and positions (PBE), the powder X-ray diffraction pattern of Ho3HgOs was calculated for Cu Kα X-rays.
Neutral-atom scattering factors, no anomalous dispersion.

Atomic structure:
Unit cell a=9.3557 b=8.6408 c=5.8076 alpha=78.00 beta=64.61 gamma=37.39
Sites, in units of the cell vectors:
Ho: 0.1994 0.1994 0.8006
Ho: 0.2024 0.5760 0.4240
Ho: 0.4240 0.7976 0.2024
Ho: 0.5760 0.2024 0.7976
Ho: 0.7976 0.4240 0.5760
Ho: 0.8006 0.8006 0.1994
Hg: 0.2149 0.7851 0.7851
Hg: 0.7851 0.2149 0.2149
Os: 0.2500 0.2500 0.2500
Os: 0.7500 0.7500 0.7500

The 12 most intense peaks (2θ = 10–90°), low angle first:
Position (°2θ)	d [Å]	I/Imax
21.5	4.135	27.1
29.0	3.083	21.9
31.6	2.835	49.2
32.5	2.752	45.1
35.3	2.545	100.0
35.4	2.535	19.3
35.7	2.515	64.9
37.3	2.413	22.0
38.5	2.337	42.1
43.8	2.067	18.4
54.0	1.697	16.9
57.5	1.602	24.1



# 4
Starting from DFT lattice parameters and positions (PBE), the powder X-ray diffraction pattern of Ho5Hg2OsRh2 was calculated for Cu Kα X-rays.
Neutral-atom scattering factors, no anomalous dispersion.

Atomic structure:
Unit cell a=11.5196 b=11.5196 c=3.5076 alpha=90.00 beta=90.00 gamma=90.00
Sites, in units of the cell vectors:
*/

  3. Increasing population

  4. None of the above

Correct Option: C
  • Groundwater is the water found underground in the cracks and spaces in soil, sand, and rock.
  • Groundwater is useful in many ways such as irrigation, drinking, washing, etc.
  • Increasing population is responsible for groundwater shortage.
  • So, the correct answer is 'Increase in population'.

Which of the following is the most responsible for world water crisis?

  1. Dams

  2. Floods

  3. Drought

  4. Population growth

Correct Option: C

BOD is ___________ in polluted water and ________in potable water.

  1. more, less

  2. less, more

  3. less in both

  4. medium in both

Correct Option: A
A low BOD is an  indicator of good quality of water. Whereas a high BOD indicates polluted water as in that water the dissolved oxygen is consumed by bacteria.
So, the correct option is 'more, less'

BOD of wastewater is amount of

  1. total organic matter

  2. biodegradable organic matter

  3. oxygen evolution

  4. oxygen consumption

Correct Option: D

biological oxygen demand is the amount of Oxygen required by aerobic micro-organisms for the breakdown of organic matter present in waste water or polluted water.

So, the correct answer is 'oxygen consumption'

Measurement of the rate of oxygen consumption in unit volume of water over a period of time is done to find out

  1. Biogas generation

  2. Biological oxygen demand

  3. Biosynthetic pathways

  4. Fermentation

Correct Option: B

Decomposition of organic matter by microbes requires oxygen. Degree of impurity of water due to organic matter is measured in terms of 'Biological Oxygen Demand (BOD)'. BOD is the oxygen in milligrams required for 5 days in 1 litre of water at 20 degree centigrades for the microorganisms to metabolise organic wastes.

Biological Oxygen Demand (BOD) is a measure of

  1. Industrial wastes poured into water bodies.

  2. Extent to which water is polluted with organic compounds.

  3. Amount of carbon monoxide inseparably combined with haemoglobin.

  4. Amount of oxygen needed by green plants during night.

Correct Option: B

What comes next are data records, not part of the page =
+++
(1)
# BeCuO3
Theoretical powder X-ray diffraction pattern, Cu Kα X-rays. Input: a DFT-relaxed cell (GGA-PBE, the Materials Project).

Largest 9 diffraction maxima, by angle, 10 to 90 degrees two-theta:
Position (°2θ)	I/Imax
25.7	60
36.7	81
45.4	100
52.9	54
59.7	25
66.1	29
78.1	28
83.8	11
89.5	13

```
data_BeCuO3
_chemical_formula_sum 'Be1 Cu1 O3'
_space_group_name_H-M_alt 'P 1'
_space_group_IT_number 1
_space_group_name_Hall 'P 1'
_cell_length_a 3.462
_cell_length_b 3.462
_cell_length_c 3.462
_cell_angle_alpha 90.00
_cell_angle_beta 90.00
_cell_angle_gamma 90.00
loop_
_atom_site_label
_atom_site_fract_x
_atom_site_fract_y
_atom_site_fract_z
Be1 0.000 0.000 0.000
Cu1 0.500 0.500 0.500
O1 0.000 0.000 0.500
O2 0.000 0.500 0.000
O3 0.500 0.000 0.000
```

---

(2)
# HoThTc2
Theoretical powder X-ray diffraction pattern, Cu Kα X-rays. Input: a DFT-relaxed cell (GGA-PBE, the Materials Project).

Largest 10 diffraction maxima, by angle, 10 to 90 degrees two-theta:
Position (°2θ)	I/Imax
22.2	2
25.7	12
36.6	100
45.3	4
52.8	18
59.6	5
66.0	36
77.9	11
83.6	3
89.3	17

```
data_HoThTc2
_chemical_formula_sum 'Ho1 Th1 Tc2'
_space_group_name_H-M_alt 'P 1'
_space_group_IT_number 1
_space_group_name_Hall 'P 1'
_cell_length_a 4.906
_cell_length_b 4.906
_cell_length_c 4.906
_cell_angle_alpha 60.00
_cell_angle_beta 60.00
_cell_angle_gamma 60.00
loop_
_atom_site_label
_atom_site_fract_x
_atom_site_fract_y
_atom_site_fract_z
Ho1 0.000 0.000 0.000
Th1 0.500 0.500 0.500
Tc1 0.250 0.250 0.250
Tc2 0.750 0.750 0.750
```

---

(3)
# Sm8CrTe13Cl
Theoretical powder X-ray diffraction pattern, Cu Kα X-rays. Input: a DFT-relaxed cell (GGA-PBE, the Materials Project).

Largest 10 diffraction maxima, by angle, 10 to 90 degrees two-theta:
Position (°2θ)	I/Imax
29.4	53
30.1	61
31.1	54
32.5	100
32.9	44
33.8	28
38.6	58
39.9	35
44.1	53
60.0	28

```
data_Sm8CrTe13Cl
_chemical_formula_sum 'Sm16 Cr2 Te26 Cl2'
_space_group_name_H-M_alt 'P 1'
_space_group_IT_number 1
_space_group_name_Hall 'P 1'
_cell_length_a 13.752
_cell_length_b 13.752
_cell_length_c 24.459
_cell_angle_alpha 90.00
_cell_angle_beta 90.00
_cell_angle_gamma 162.83
loop_
_atom_site_label
_atom_site_fract_x
_atom_site_fract_y
_atom_site_fract_z
Sm1 0.017 0.983 0.500
Sm2 0.053 0.947 0.835
Sm3 0.108 0.892 0.663
Sm4 0.149 0.851 0.995
Sm5 0.275 0.725 0.684
Sm6 0.307 0.693 0.009
Sm7 0.367 0.633 0.843
Sm8 0.440 0.560 0.675
Sm9 0.560 0.440 0.175
Sm10 0.633 0.367 0.343
Sm11 0.693 0.307 0.509
Sm12 0.725 0.275 0.184
Sm13 0.851 0.149 0.495
Sm14 0.892 0.108 0.163
Sm15 0.947 0.053 0.335
Sm16 0.983 0.017 0.000
Cr1 0.291 0.709 0.337
Cr2 0.709 0.291 0.837
Te1 0.062 0.938 0.278
Te2 0.129 0.871 0.442
Te3 0.144 0.856 0.136
Te4 0.173 0.827 0.774
Te5 0.204 0.796 0.281
Te6 0.245 0.755 0.902
Te7 0.275 0.725 0.544
Te8 0.305 0.695 0.141
Te9 0.376 0.624 0.397
Te10 0.413 0.587 0.063
Te11 0.434 0.566 0.537
Te12 0.450 0.550 0.237
Te13 0.482 0.518 0.899
Te14 0.518 0.482 0.399
Te15 0.550 0.450 0.737
Te16 0.566 0.434 0.037
Te17 0.587 0.413 0.563
+++

Decomposition of organic matter by microbes requires oxygen. Degree of impurity of water due to organic matter is measured in terms of Biochemical oxygen demand or (BOD). BOD is the oxygen required by microorganisms to completely metabolise organic wastes present in water.

Huge quantity of sewage is dumped in a river. The BOD will.

  1. Increase

  2. Decrease

  3. Slightly decrease

  4. Remain unchanged

Correct Option: A

A huge quantity of sewage increases Organic matter in the river water.

The oxygen demand by bacteria to degrade the organic matter increases.
The biological oxygen demand increases.
So, the correct option is 'Increase'.

Biochemical oxygen demand measures

  1. Industrial pollution

  2. Air pollution

  3. Dissolved oxygen required for decomposers

  4. Pollution capacity of effluents

Correct Option: C
Biochemical oxygen demand or BOD is the amount of oxygen required to decompose organic matter in one litre of polluted water.
If the water is more polluted, more will be the BOD because more will be the organic matter present in it and hence, more oxygen will be required to decompose it.
So, BOD measures the amount of dissolved oxygen required for decomposers to decompose the organic matter in the water.
So, the correct answer is 'Dissolved oxygen required for decomposers'.

Multiple Choice Questions
Biochemical oxygen demand may not be good index for water bodies receiving effluents from.

  1. Sugar industry

  2. Domestic sewage

  3. Dairy industry

(Between two parts of the page: data records)
=====
Entry 1:
Diffraction record for Sr3Zn4Au4. The powder diffraction line list is calculated, not measured: it uses a crystal structure in Alexandria, relaxed with GGA-PBE and copper Kα.
Intensities are scaled so that the largest is 1000.

Structure:
a = 4.3193 Å, b = 4.5508 Å, c = 13.9020 Å
α = 80.78°, β = 81.11°, γ = 89.82°
Positions (direct):
Sr 0.0000 0.0000 0.0000
Sr 0.1490 0.6496 0.7023
Sr 0.8510 0.3504 0.2977
Zn 0.2496 0.2527 0.4965
Zn 0.4008 0.9005 0.1979
Zn 0.5992 0.0995 0.8021
Zn 0.7504 0.7473 0.5035
Au 0.3071 0.8045 0.3901
Au 0.4457 0.4452 0.1051
Au 0.5543 0.5548 0.8949
Au 0.6929 0.1955 0.6099

Top 6 peaks for 2θ from 15° to 90°, sorted by position:
- 2θ 20.82, intensity 673
- 2θ 29.22, intensity 519
- 2θ 29.30, intensity 515
- 2θ 31.02, intensity 1000
- 2θ 39.61, intensity 647
- 2θ 41.80, intensity 832

Entry 2:
Diffraction record for SrZn4Au6. The powder diffraction line list is calculated, not measured: it uses a crystal structure in Alexandria, relaxed with GGA-PBE and copper Kα.
Intensities are scaled so that the largest is 1000.

Structure:
a = 6.8623 Å, b = 6.8623 Å, c = 6.8623 Å
α = 120.27°, β = 120.27°, γ = 89.53°
Positions (direct):
Sr 0.0000 0.0000 0.0000
Zn 0.2422 0.2422 0.6776
Zn 0.4355 0.7578 0.0000
Zn 0.5645 0.5645 0.3224
Zn 0.7578 0.4355 0.0000
Au 0.0000 0.5000 0.5000
Au 0.1162 0.5248 0.0000
Au 0.4752 0.4752 0.5914
Au 0.5000 0.0000 0.5000
Au 0.5248 0.1162 0.0000
Au 0.8838 0.8838 0.4086

Top 6 peaks for 2θ from 15° to 90°, sorted by position:
- 2θ 25.97, intensity 538
- 2θ 30.66, intensity 336
- 2θ 31.99, intensity 1000
- 2θ 37.21, intensity 545
- 2θ 41.51, intensity 579
- 2θ 41.79, intensity 275

Entry 3:
Diffraction record for SrZn6Au4. The powder diffraction line list is calculated, not measured: it uses a crystal structure in Alexandria, relaxed with GGA-PBE and copper Kα.
Intensities are scaled so that the largest is 1000.

Structure:
a = 7.5149 Å, b = 7.5149 Å, c = 4.2677 Å
α = 90.00°, β = 90.00°, γ = 120.00°
Positions (direct):
Sr 0.0000 0.0000 0.0000
Zn 0.2063 0.4126 0.5000
Zn 0.2063 0.7937 0.5000
Zn 0.5382 0.0764 0.0000
Zn 0.5382 0.4618 0.0000
Zn 0.5874 0.7937 0.5000
Zn 0.9236 0.4618 0.0000
Au 0.3333 0.6667 0.0000
Au 0.3961 0.1981 0.5000
Au 0.8019 0.1981 0.5000
Au 0.8019 0.6039 0.5000

Top 6 peaks for 2θ from 15° to 90°, sorted by position:
- 2θ 27.41, intensity 402
- 2θ 31.73, intensity 391
- 2θ 34.67, intensity 499
- 2θ 36.53, intensity 323
- 2θ 42.40, intensity 1000
- 2θ 46.99, intensity 353

Entry 4:
Diffraction record for Sr2Zn5Au12. The powder diffraction line list is calculated, not measured: it uses a crystal structure in Alexandria, relaxed with GGA-PBE and copper Kα.
Intensities are scaled so that the largest is 1000.

Structure:
a = 7.2488 Å, b = 7.2488 Å, c = 7.2488 Å
α = 82.49°, β = 82.49°, γ = 82.49°
Positions (direct):
Sr 0.1481 0.1481 0.1481
Sr 0.8519 0.8519 0.8519
Zn 0.0000 0.5000 0.5000
Zn 0.4007 0.4007 0.4007
Zn 0.5000 0.0000 0.5000
Zn 0.5000 0.5000 0.0000
Zn 0.5993 0.5993 0.5993
=====
(Here the page continues)

  4. Petroleum industry

Correct Option: D

Biochemical Oxygen Demand or BOD is the amount of dissolved oxygen in a water body, required by microorganisms for the aerobic breakdown of organic matter in the water. Petroleum waste consists of inorganic constituents that also may cut off the oxygen supply into the water body thus BOD may not be a good index for water receiving effluents containing it.

So, the correct option is 'petroleum industry'.

If a water body have high amount of DDT it's 'Biochemical Oxygen Demand' (B.O.D.) will

  1. Decrease

  2. Not affected

  3. Increase

  4. First decrease than increase

Correct Option: C

Biological Oxygen Demand (BOD) is one of the most common measures of pollutant organic material in water. BOD indicates the amount of putrescible organic matter present in water. Therefore, a low BOD is an indicator of good quality water, while a high BOD indicates polluted water. When BOD levels are high, dissolved oxygen (DO) levels decrease because the oxygen that is available in the water is being consumed by the bacteria. Since less dissolved oxygen is available in the water, fish and other aquatic organisms may not survive.

So, the correct option is 'Increase'.